Comments Application View
More optional things you can do (to make your life easier)Last line, is equivalent of using $(document).ready, it's a shorthand:
var CommentModel = ...
var CommentsCollection = Backbone.Collection.extend({...});
var commentTemplate = _.template('...');
var CommentView = Backbone.View.extend({...});
var CommentsApp = Backbone.View.extend({
el: $('.comments'),
initialize: function(){
this.collection = new CommentsCollection();
this.listenTo( this.collection, 'add', this.renderComment );
this.listenTo( this.collection, 'remove', this.renderCommentCount );
renderComment: function(model){
Here the text breaks off for calculated crystals:
┌──
No. 1
The following is a computed XRD peak list of La3Tb5Tm2. It was derived from DFT lattice parameters and positions (PBE), using Cu Ka.
Neutral-atom scattering factors, no anomalous dispersion.

Crystal structure
```
La3Tb5Tm2
1.0
9.5253 0.0000 0.0000
-2.7439 9.1279 0.0000
-4.0428 -4.0716 7.6211
La Tb Tm
6 10 4
Direct
0.0796 0.3510 0.0294
0.2715 0.9489 0.4228
0.3250 0.8490 0.7744
0.6750 0.1510 0.2256
0.7285 0.0511 0.5772
0.9204 0.6490 0.9706
0.0263 0.4492 0.6739
0.1281 0.2512 0.3797
0.2251 0.0537 0.0756
0.3784 0.7488 0.1247
0.4737 0.5481 0.8242
0.5263 0.4519 0.1758
0.6216 0.2512 0.8753
0.7749 0.9463 0.9244
0.8719 0.7488 0.6203
0.9737 0.5508 0.3261
0.1758 0.1510 0.7254
0.4277 0.6459 0.4758
0.5723 0.3541 0.5242
0.8242 0.8490 0.2746
```

Peak list (8 most intense, 2θ = 10–80°, most intense first)
two_theta, I_rel
30.4, 100
35.3, 34
50.7, 18
35.1, 17
60.2, 14
60.3, 14
50.5, 12
60.0, 11

***

No. 2
The following is a computed XRD peak list of LiCeGe2Pd. It was derived from DFT lattice parameters and positions (PBE), using Cu Ka.
Neutral-atom scattering factors, no anomalous dispersion.

Crystal structure
```
LiCeGe2Pd
1.0
-2.0748 2.0748 5.4143
2.0748 -2.0748 5.4143
2.0748 2.0748 -5.4143
Li Ce Ge Pd
1 1 2 1
Direct
0.0000 0.0000 0.0000
0.7500 0.2500 0.5000
0.1361 0.6361 0.5000
0.3639 0.8639 0.5000
0.5000 0.5000 0.0000
```

Peak list (8 most intense, 2θ = 10–80°, most intense first)
two_theta, I_rel
34.8, 100
32.9, 93
43.6, 57
47.3, 48
23.0, 44
55.7, 41
66.3, 35
30.5, 30

***

No. 3
The following is a computed XRD peak list of LaTmZnPd. It was derived from DFT lattice parameters and positions (PBE), using Cu Ka.
Neutral-atom scattering factors, no anomalous dispersion.

Crystal structure
```
LaTmZnPd
1.0
0.0000 3.6140 3.6140
3.6140 0.0000 3.6140
3.6140 3.6140 0.0000
La Tm Zn Pd
1 1 1 1
Direct
0.0000 0.0000 0.0000
0.5000 0.5000 0.5000
0.2500 0.2500 0.2500
0.7500 0.7500 0.7500
```

Peak list (8 most intense, 2θ = 10–80°, most intense first)
two_theta, I_rel
35.1, 100
63.0, 36
50.5, 18
74.2, 11
24.6, 8
57.0, 3
43.4, 2
21.3, 2

***

No. 4
The following is a computed XRD peak list of TbAg3F6. It was derived from DFT lattice parameters and positions (PBE), using Cu Ka.
Neutral-atom scattering factors, no anomalous dispersion.

Crystal structure
```
TbAg3F6
1.0
3.7979 -5.8343 0.0000
3.7979 5.8343 0.0000
0.0000 0.0000 3.8882
Tb Ag F
1 3 6
Direct
0.0000 0.0000 0.0000
0.0000 0.5000 0.5000
0.5000 0.0000 0.5000
0.5000 0.5000 0.0000
0.1087 0.8913 0.5000
0.1315 0.3633 0.0000
0.3633 0.1315 0.0000
0.6367 0.8685 0.0000
0.8685 0.6367 0.0000
0.8913 0.1087 0.5000
```

Peak list (8 most intense, 2θ = 10–80°, most intense first)
two_theta, I_rel
27.6, 100
28.0, 95
45.6, 73
33.0, 36
55.4, 27
56.2, 26
30.6, 22
46.7, 17

=====

[1]
Calculated powder diffraction line list of Mg for Cu Ka, from a structure optimized by DFT (GGA-PBE).

Principal peaks in the range 2θ from 10° to 90°, most intense first:
d/Å	2theta	intensity	index
2.441	36.83	100.0	1 0 2
2.665	33.63	43.0	1 0 1
└──
model.view = new CommentView({ model: model });
this.$('#comment-list').prepend( model.view.render() );
resetFormFields: function(){
this.$('form textarea, form input[name="email"]').val(null);
renderCommentCount: function(){
var length = this.collection.length;
var count = length === 1 ? '1 Comment' : length + ' Comments';
this.$('.comment-count').text( count );
events: {
'submit form': 'createComment'
createComment: function(event){
// Create a new Comment Model with the data in the form
var comment = {
content: this.$('form textarea').val(),
email: this.$('form input[name="email"]').val(),
created_at: +new Date()
// The `validate` option ensures that empty comments aren't added
this.collection.add( comment, { validate: true });
window.comments = new CommentsApp();
This view will be responsible for the whole comments widget.el
: we're telling Backbone: this element (that this view will be responsible for) already exists in the DOM, we get it via a jQuery selector. We're using a CSS class selector, because we know there's only one.comments
element on the page.initialize
: it will create the collection. (newCommentsCollection
). Listen to some events. Add: when we add a new model element, Remove: we remove an elementrenderComment
: some helper methodsresetFormFields
: when you successfully "saved" a comment (and displayed it on the page), clear the comment form textrenderCommentCount
: very very naive, not recommended way of just displaying in plain english the number of commentsevents
: "event delegation for free" Delegating, bubbling of events that happen in the DOM (e.g. click events). Talks about capturing the form submit event. We could even be more specific and useevents: {'form #my-comment-form': 'createComment'}
and scope it a specific DOM element ID. Talks about jQuery stealing thethis
when getting a DOM element, and that in this case it would make it more difficult to work with. Backbone brings it (this) backcreateComment
: it gets an (DOM) event object. we stop the browser sending the form (preventDefault). Any Backbone view element has already a DOM element tied to it, that's already scoped. So doingthis.$('form textarea').val()
will scope the DOM query to the views DOM element. Adds a timestamp. Later we will use the moment.js library to work with dates. Some trivia: Brendan Eich had only two weeks to write JavaScript. So they quickly ported the Java date object with all of the bugs included. Not easy to use, kind of useless, buggy. Better to use library. Or better to coerce them to a UNIX timestamp by adding the +:+new Date()
. Then finally add the new model to the collection (this.collection.add(...)
) and making sure it passes validation. You have to explicitly add validation, make sure the method exists(?).
window.comments = new CommentsApp();
The set up can happen while the page is loading, but this last initialisation has to happen when the page is loaded.